- - -
Version 1
Computed, not measured: a single CH5PS2 molecule, with wB97M-V/def2-TZVPD.

Each line ends with the natural charge from an NBO analysis.
Positions of all 9 atoms, in Å:
C 0.19878 1.23067 0.04297  -0.96
P 0.01836 -0.26860 -1.01531  0.63
S 1.51088 -1.60803 -0.29770  -0.34
S -1.67888 -1.16129 0.23061  -0.35
H 0.00409 2.08272 -0.63694  0.24
H 1.21703 1.46214 0.49421  0.25
H -0.50273 1.20888 0.82307  0.23
H 1.07092 -2.81421 -0.72062  0.16
H -1.83846 -0.13228 1.07971  0.12

- Molecular weight: 112.2 g/mol
- SMILES string: CP(S)S
- Kohn-Sham gap: 9.30 eV
- LUMO level: 0.015 Eh


Version 2
Computed, not measured: a single CH5PS2 molecule, with wB97M-V/def2-TZVPD.

Each line ends with the natural charge from an NBO analysis.
Positions of all 9 atoms, in Å:
C -0.72372 0.71686 -0.74087  -0.95
P 0.54910 -0.61460 -0.56655  0.59
S 1.77763 0.42238 0.81409  -0.31
S -0.53238 -1.97723 0.65781  -0.31
H -1.57490 0.31095 -1.28485  0.24
H -0.28547 1.53125 -1.31403  0.24
H -1.04646 1.09075 0.23142  0.22
H 2.81183 -0.39505 0.65817  0.15
H -0.97562 -1.08531 1.54482  0.13

- Molecular weight: 112.2 g/mol
- SMILES string: CP(S)S
- Kohn-Sham gap: 9.87 eV
- LUMO level: 0.029 Eh


Which structure is the least stable? The one labeled version 1.


Version 1
Computed, not measured: a single C4H8BN molecule, with wB97M-V/def2-TZVPD.

Each line ends with the natural charge from an NBO analysis.
Positions of all 14 atoms, in Å:
C 0.87411 -1.79437 -0.48254  -1.03
B 0.98222 -0.42845 0.06575  0.63
C -0.30909 0.42374 0.01959  -0.62
C -0.26023 1.92399 0.37613  -0.59
C -1.55526 -0.09730 -0.41563  0.26
N -2.53632 -0.65994 -0.60790  -0.35
H -0.04485 -2.34139 -0.38786  0.26
H 1.57007 -2.59668 -0.16031  0.25
H 1.27118 -1.70900 -1.59400  0.28
H 1.83687 0.17601 0.57626  -0.06
H -0.83785 0.09093 1.19886  0.32
H -0.05409 2.54761 -0.41209  0.21
H -1.27890 2.27818 0.57427  0.21
H 0.34213 2.18667 1.24946  0.22

- Molecular weight: 80.9 g/mol
- SMILES string: CB[C@@H](C)C#N
- Kohn-Sham gap: 10.72 eV
- LUMO level: 0.010 Eh


Version 2
Computed, not measured: a single C4H8BN molecule, with wB97M-V/def2-TZVPD.

Each line ends with the natural charge from an NBO analysis.
Positions of all 14 atoms, in Å:
C -1.52251 0.65624 -2.23967  -0.26
C -0.63760 1.31761 -1.62515  -0.03
C 0.84613 1.37213 -0.92737  -0.21
N 0.79675 0.57598 0.17446  -0.84
B -0.10347 -0.41209 0.63033  0.63
C -0.13314 -1.45300 1.80379  -0.99
H -2.12960 -0.24543 -2.27728  0.25
H 1.60763 0.91532 -1.63993  0.21
H 1.05458 2.48695 -0.67168  0.21
H 1.72357 0.44802 0.62430  0.39
H -1.16180 -0.32047 -0.08452  -0.08
H -1.17736 -1.76137 1.97781  0.25
H 0.47406 -1.21087 2.69160  0.23
H 0.36274 -2.36903 1.56331  0.25

- Molecular weight: 80.9 g/mol
- SMILES string: C#CCNBC
- Kohn-Sham gap: 9.97 eV
- LUMO level: 0.023 Eh


Which structure is the least stable? The one labeled version 2.


Version 1
Computed, not measured: 2 unconnected molecules or ions with the total composition C5H10NO, with wB97M-V/def2-TZVPD.

Each line ends with the natural charge from an NBO analysis.
Positions of all 17 atoms, in Å:
C -1.09172 -1.63969 -2.37752  -0.13
C -0.40815 -0.74038 -1.90162  -0.31
C -0.70079 2.16961 0.22099  -0.69
C 0.35815 1.18033 -0.01137  0.08
C 0.79510 -1.37236 0.65477  0.29
N 0.28700 0.01427 0.97837  -0.62
O 0.46567 -2.34480 1.56754  -0.64
H -1.77457 -2.38922 -2.67783  0.25
H -0.42801 2.99300 -0.36537  0.26
H -1.62757 1.77613 0.03342  0.24
H -0.67483 2.47513 1.20059  0.24
H 1.24644 1.55581 -0.39126  0.21
H 0.16265 0.05854 -1.68597  0.20
H 1.73620 -1.19280 0.09880  0.18
H 1.01807 0.28404 1.66507  0.47
H -0.65491 -0.11845 1.14557  0.45
H 1.29126 -2.70917 1.84584  0.51

- Molecular weight: 100.1 g/mol
- Net charge: +1
- Kohn-Sham gap (spin up / spin down): 9.36 / 8.32 eV
- LUMO level (spin up / spin down): -0.159 / -0.176 Eh


Version 2
Computed, not measured: a gas-phase ion, C5H10NO (charge +1), with wB97M-V/def2-TZVPD.

Each line ends with the natural charge from an NBO analysis.
Positions of all 17 atoms, in Å:
- - -
Repeat the material earlier on from the first line to the one with "0.97837" exactly.
Version 1
Computed, not measured: a single CH5PS2 molecule, with wB97M-V/def2-TZVPD.

Each line ends with the natural charge from an NBO analysis.
Positions of all 9 atoms, in Å:
C 0.19878 1.23067 0.04297  -0.96
P 0.01836 -0.26860 -1.01531  0.63
S 1.51088 -1.60803 -0.29770  -0.34
S -1.67888 -1.16129 0.23061  -0.35
H 0.00409 2.08272 -0.63694  0.24
H 1.21703 1.46214 0.49421  0.25
H -0.50273 1.20888 0.82307  0.23
H 1.07092 -2.81421 -0.72062  0.16
H -1.83846 -0.13228 1.07971  0.12

- Molecular weight: 112.2 g/mol
- SMILES string: CP(S)S
- Kohn-Sham gap: 9.30 eV
- LUMO level: 0.015 Eh


Version 2
Computed, not measured: a single CH5PS2 molecule, with wB97M-V/def2-TZVPD.

Each line ends with the natural charge from an NBO analysis.
Positions of all 9 atoms, in Å:
C -0.72372 0.71686 -0.74087  -0.95
P 0.54910 -0.61460 -0.56655  0.59
S 1.77763 0.42238 0.81409  -0.31
S -0.53238 -1.97723 0.65781  -0.31
H -1.57490 0.31095 -1.28485  0.24
H -0.28547 1.53125 -1.31403  0.24
H -1.04646 1.09075 0.23142  0.22
H 2.81183 -0.39505 0.65817  0.15
H -0.97562 -1.08531 1.54482  0.13

- Molecular weight: 112.2 g/mol
- SMILES string: CP(S)S
- Kohn-Sham gap: 9.87 eV
- LUMO level: 0.029 Eh


Which structure is the least stable? The one labeled version 1.


Version 1
Computed, not measured: a single C4H8BN molecule, with wB97M-V/def2-TZVPD.

Each line ends with the natural charge from an NBO analysis.
Positions of all 14 atoms, in Å:
C 0.87411 -1.79437 -0.48254  -1.03
B 0.98222 -0.42845 0.06575  0.63
C -0.30909 0.42374 0.01959  -0.62
C -0.26023 1.92399 0.37613  -0.59
C -1.55526 -0.09730 -0.41563  0.26
N -2.53632 -0.65994 -0.60790  -0.35
H -0.04485 -2.34139 -0.38786  0.26
H 1.57007 -2.59668 -0.16031  0.25
H 1.27118 -1.70900 -1.59400  0.28
H 1.83687 0.17601 0.57626  -0.06
H -0.83785 0.09093 1.19886  0.32
H -0.05409 2.54761 -0.41209  0.21
H -1.27890 2.27818 0.57427  0.21
H 0.34213 2.18667 1.24946  0.22

- Molecular weight: 80.9 g/mol
- SMILES string: CB[C@@H](C)C#N
- Kohn-Sham gap: 10.72 eV
- LUMO level: 0.010 Eh


Version 2
Computed, not measured: a single C4H8BN molecule, with wB97M-V/def2-TZVPD.

Each line ends with the natural charge from an NBO analysis.
Positions of all 14 atoms, in Å:
C -1.52251 0.65624 -2.23967  -0.26
C -0.63760 1.31761 -1.62515  -0.03
C 0.84613 1.37213 -0.92737  -0.21
N 0.79675 0.57598 0.17446  -0.84
B -0.10347 -0.41209 0.63033  0.63
C -0.13314 -1.45300 1.80379  -0.99
H -2.12960 -0.24543 -2.27728  0.25
H 1.60763 0.91532 -1.63993  0.21
H 1.05458 2.48695 -0.67168  0.21
H 1.72357 0.44802 0.62430  0.39
H -1.16180 -0.32047 -0.08452  -0.08
H -1.17736 -1.76137 1.97781  0.25
H 0.47406 -1.21087 2.69160  0.23
H 0.36274 -2.36903 1.56331  0.25

- Molecular weight: 80.9 g/mol
- SMILES string: C#CCNBC
- Kohn-Sham gap: 9.97 eV
- LUMO level: 0.023 Eh


Which structure is the least stable? The one labeled version 2.


Version 1
Computed, not measured: 2 unconnected molecules or ions with the total composition C5H10NO, with wB97M-V/def2-TZVPD.

Each line ends with the natural charge from an NBO analysis.
Positions of all 17 atoms, in Å:
C -1.09172 -1.63969 -2.37752  -0.13
C -0.40815 -0.74038 -1.90162  -0.31
C -0.70079 2.16961 0.22099  -0.69
C 0.35815 1.18033 -0.01137  0.08
C 0.79510 -1.37236 0.65477  0.29
N 0.28700 0.01427 0.97837  -0.62